Please filter the listing underneath: keep the lines with the word "kcal".

┌──
# C5H6FN

One molecule with the formula C5H6FN at a distorted geometry (the ωB97M-V functional and the def2-TZVPD basis, the OMol25 dataset).

## Properties
Net charge = 0
SMILES = C#C[C@H]1NC[C@H]1F
Energy relative to the best compared isomer or geometry (same formula, charge and spin) = 136.97 kcal per mole
Highest occupied orbital energy = -9.195 eV
HOMO-LUMO gap = 10.2 eV

Positions of all 13 atoms, in Å:
C 0.70 -2.06 2.22
C 0.56 -1.15 1.38
C 0.63 0.08 0.33
N 0.90 0.02 -1.14
C -0.55 0.70 -1.53
C -0.76 1.04 -0.14
F -2.03 0.61 0.36
H 0.39 -2.89 2.97
H 1.34 0.81 0.72
H 1.29 -0.96 -1.45
H -1.42 -0.12 -1.72
H -0.45 1.68 -2.29
H -0.59 2.24 0.29

Mulliken atomic charge list, values in e, 4 entries: -0.0060, -0.4190, -0.2366, -0.4422

# C35H47BrN4P2Pd

C35H47BrN4P2Pd as an isolated structure at a distorted geometry (the ωB97M-V functional and the def2-TZVPD basis, the OMol25 dataset).

## Properties
Spin multiplicity = 5
Net charge = +4
Highest occupied orbital energy (spin up / spin down) = -16.738 / -16.680 eV
HOMO-LUMO gap (spin up / spin down) = 5.0 / 2.6 eV

Positions of all 90 atoms, in Å:
N -6.52 4.84 -5.95
C -6.34 5.33 -4.72
C -5.50 4.73 -3.77
C -4.78 3.54 -4.08
C -4.98 3.05 -5.40
C -5.85 3.72 -6.27
C -3.88 2.92 -3.10
Pd -0.75 0.14 -0.66
P 4.25 -0.64 -0.90
C -3.06 1.81 -3.30
C -1.74 1.63 -2.73
C -0.59 1.38 -3.54
C 0.61 2.08 -3.23
C 0.63 2.98 -2.16
C -0.23 2.72 -1.05
C -1.49 2.06 -1.37
Br 1.97 4.21 -2.06
H -3.88 3.39 -2.12
H -3.37 1.13 -4.11
H -5.39 5.23 -2.80
H -4.44 2.18 -5.75
H -6.89 6.24 -4.50
H -6.01 3.35 -7.28
H -0.65 0.84 -4.50
H -2.35 2.11 -0.69
H 1.52 1.97 -3.82
H 0.05 2.99 -0.03
P -0.91 -2.03 -1.22
C 4.37 1.14 -0.76
C 5.78 1.57 -1.24
H 4.26 1.41 0.31
H 3.57 1.61 -1.35
H 5.93 2.63 -1.03
H 6.55 0.99 -0.70
H 5.90 1.39 -2.31
C 3.94 -1.16 -2.58
C 5.10 -2.07 -3.02
H 3.90 -0.26 -3.23
H 2.97 -1.70 -2.63
H 5.02 -2.26 -4.10
H 6.08 -1.60 -2.82
H 5.07 -3.03 -2.49
C 3.44 -1.49 0.43
C 4.52 -1.87 1.46
H 2.93 -2.39 0.05
H 2.70 -0.78 0.86
H 4.14 -2.65 2.12
H 5.42 -2.24 0.95
H 4.80 -0.99 2.05
C -0.66 -3.41 -0.02
C -1.76 -4.45 0.20
H -0.34 -2.97 0.93
H 0.21 -3.95 -0.41
H -2.63 -4.04 0.74
H -2.09 -4.92 -0.73
H -1.36 -5.25 0.83
C 0.52 -2.31 -2.32
C 0.33 -2.30 -3.83
H 0.92 -3.28 -2.01
H 1.23 -1.53 -2.00
H -0.43 -3.03 -4.15
H 0.05 -1.30 -4.21
H 1.29 -2.58 -4.29
C -2.39 -2.52 -2.16
C -3.62 -1.96 -1.46
H -2.40 -3.62 -2.20
H -2.30 -2.16 -3.19
H -4.54 -2.15 -2.04
H -3.77 -2.42 -0.47
H -3.48 -0.88 -1.31
N 0.67 1.47 10.14
C 0.44 1.22 9.01
C 0.10 0.88 7.66
C -1.22 0.52 7.37
C -1.60 0.19 6.08
C -0.67 0.24 5.02
C 0.66 0.60 5.30
C 1.04 0.92 6.61
N -1.13 -0.02 3.70
C -2.47 -0.29 3.36
C -2.55 -0.33 2.00
N -1.28 -0.08 1.47
C -0.45 0.04 2.52
H -1.97 0.51 8.17
H -2.64 -0.09 5.91
H 1.39 0.65 4.48
H 2.06 1.20 6.84
H -3.24 -0.37 4.10
H -3.42 -0.48 1.37
H 0.63 0.21 2.49

Mulliken atomic charge list, values in e, 4 entries: 0.0791, -0.3869, -0.4161, 0.6799

~~~~~

Entry 1:
Molecular formula: C11H31INO5
Method: DFT, ωB97M-V with the def2-TZVPD basis set

Geometry as ORCA input:
```
! wB97M-V def2-TZVPD RIJCOSX def2/J DEFGRID3
* xyz -1 1
I -13.074 -16.012 5.847
C -12.190 -11.579 8.493
O -13.216 -11.341 7.608
H -12.691 -11.136 9.354
H -12.134 -12.661 8.612
H -11.223 -11.155 8.222
H -13.054 -12.105 7.050
C -18.442 -14.911 8.373
O -17.196 -15.487 8.677
H -19.378 -15.458 8.485
H -18.458 -13.923 8.834
H -18.329 -14.634 7.325
H -16.508 -15.219 8.064
C -13.930 -15.298 14.134
O -13.040 -16.146 13.349
C -13.239 -16.258 11.962
C -12.174 -17.199 11.412
N -12.030 -18.547 12.049
C -13.124 -19.479 11.597
C -14.432 -19.251 12.227
O -14.354 -18.535 13.445
C -15.650 -18.153 14.129
H -13.582 -15.278 15.166
H -14.926 -15.741 14.118
H -14.060 -14.347 13.618
H -13.132 -15.242 11.580
H -14.225 -16.664 11.736
H -11.186 -16.741 11.424
H -12.253 -17.373 10.339
H -11.103 -18.869 11.808
H -12.846 -20.442 12.025
H -13.148 -19.543 10.509
H -14.961 -20.204 12.227
H -15.067 -18.721 11.518
H -16.241 -17.533 13.454
H -15.499 -17.876 15.172
H -16.191 -19.066 13.880
C -18.935 -20.384 5.800
└──

Energy relative to the best compared isomer or geometry (same formula, charge and spin) = 136.97 kcal per mole